File:
-- begin --
C4H5NO2 | the ωB97M-V functional and the def2-TZVPD basis

Each line ends with the Mulliken charge.
Cartesian coordinates (Å):
O 2.55 -0.76 -0.30  -0.4616
C 1.44 -0.33 -0.52  -0.1738
C 0.68 0.48 0.48  0.0664
C -0.55 1.23 0.06  -0.4145
N -0.67 0.02 0.80  -0.2050
C -1.19 -1.12 0.16  0.0763
O -1.96 -1.09 -0.77  -0.4756
H 0.93 -0.54 -1.48  0.3703
H 1.29 0.83 1.30  0.3462
H -0.87 1.20 -0.98  0.2584
H -0.81 2.13 0.61  0.2276
H -0.84 -2.05 0.63  0.3852

multiplicity = 1
energy above the lowest of the compared OMol25 structures with the same formula, charge and spin = 44.9 kcal/mol
E_LUMO = 0.57 eV
SMILES = O=C[C@H]1CN1C=O

---

C21H26N4O3S3 | the ωB97M-V functional and the def2-TZVPD basis

Each line ends with the Mulliken charge.
Cartesian coordinates (Å):
C -0.06 -2.63 0.69  -0.4866
C -1.19 -3.16 1.56  -0.4455
C -2.55 -2.99 0.88  -1.0947
N -2.89 -1.61 0.57  0.4079
C -3.39 -0.77 1.64  -1.5670
C -2.32 0.12 2.29  2.0090
C -2.96 1.20 3.14  -1.6152
C -2.71 -1.19 -0.70  0.7865
O -2.27 -1.90 -1.58  -0.6750
C -3.11 0.26 -1.00  -0.6475
S -2.75 0.58 -2.74  -0.3170
C -1.04 0.21 -2.72  0.0865
N -0.37 0.41 -1.63  -0.0718
C 0.94 0.12 -1.69  -0.1856
C 1.57 -0.36 -2.82  0.6735
S 3.26 -0.64 -2.52  -0.2350
C 3.08 -0.06 -0.87  0.3780
S 4.33 0.07 0.18  -0.3194
N 1.78 0.28 -0.62  0.4681
C 1.36 0.84 0.61  -0.5126
C 1.69 0.24 1.82  -0.6532
C 1.31 0.81 3.02  -0.5795
C 0.58 1.99 3.03  0.5203
O 0.17 2.65 4.14  -0.4526
C 0.57 2.20 5.43  -0.5163
C -0.31 1.07 5.96  -0.8690
C 0.23 2.58 1.82  -0.4311
C 0.62 2.02 0.62  -0.3017
C 0.85 -0.57 -4.04  -0.0214
O 1.26 -0.97 -5.11  -0.6871
N -0.50 -0.22 -3.87  -0.0688
H 0.90 -2.83 1.16  0.4646
H -0.16 -1.56 0.54  -0.4208
H -0.07 -3.11 -0.28  0.3721
H -1.19 -2.65 2.52  0.1805
H -1.05 -4.22 1.75  0.4174
H -3.34 -3.40 1.52  0.4176
H -2.55 -3.53 -0.07  0.4546
H -4.19 -0.13 1.25  0.3519
H -3.83 -1.42 2.39  0.3741
H -1.69 0.57 1.53  -0.8305
H -1.66 -0.50 2.92  -0.0387
H -3.61 1.83 2.54  0.3873
H -2.20 1.83 3.59  0.2752
H -3.56 0.76 3.94  0.3677
H -2.55 0.97 -0.40  0.2071
H -4.18 0.40 -0.88  0.5790
H 2.26 -0.68 1.82  0.6169
H 1.61 0.32 3.93  0.5139
H 1.62 1.91 5.42  0.3698
H 0.46 3.08 6.07  0.3663
H -0.26 0.20 5.31  0.1874
H -1.34 1.40 6.02  0.2680
H 0.03 0.79 6.95  0.4015
H -0.34 3.50 1.84  0.4452
H 0.35 2.49 -0.31  0.4524
H -1.10 -0.37 -4.68  0.2434

multiplicity = 1
energy above the lowest of the compared OMol25 structures with the same formula, charge and spin = 0.0 kcal/mol
E_LUMO = 0.28 eV
SMILES = CCCN(CCC)C(=O)CSc1nc2c(sc(=S)n2-c2ccc(OCC)cc2)c(=O)[nH]1

---

C35H61NO27 | the ωB97M-V functional and the def2-TZVPD basis

Each line ends with the Mulliken charge.
Cartesian coordinates (Å):
C -6.79 12.26 12.91  -1.3903
C -6.40 13.53 13.65  1.7398
C -7.03 14.72 12.95  0.3232
O -7.37 15.44 14.15  -0.4280
C -7.56 14.66 15.19  0.5282
O -8.14 15.00 16.16  -0.5649
O -6.95 13.49 14.98  -0.4309
H -6.43 11.30 13.26  0.3587
H -6.60 12.44 11.85  0.1970
H -7.91 12.19 12.94  0.3897
H -5.36 13.75 13.78  -0.7006
H -7.96 14.46 12.43  0.4084
H -6.43 15.30 12.20  -0.4102
C -4.96 14.82 9.57  -0.3361
C -5.57 13.65 8.68  0.5910
C -7.11 13.57 8.51  -0.4256
O -7.46 14.06 7.27  -0.3186
C -6.36 14.35 6.67  0.5237
O -6.28 14.75 5.50  -0.6176
O -5.27 14.10 7.40  -0.3733
H -5.33 15.72 9.10  0.7082
H -3.92 14.82 9.57  -0.4695
H -5.20 14.77 10.57  -0.0753
H -5.18 12.67 8.97  0.0990
H -7.54 14.14 9.31  0.2725
H -7.42 12.56 8.50  0.3938
C 3.78 11.56 11.36  -1.4699
C 3.39 12.20 12.77  0.6968
C 1.94 12.24 13.16  2.5918
O 1.65 11.10 14.00  -0.3598
C 2.79 10.67 14.37  0.3590
O 2.90 10.04 15.42  -0.6212
O 3.82 11.22 13.70  -0.4263
H 4.68 12.00 10.95  0.3442
H 2.95 11.61 10.60  0.2146
H 4.08 10.56 11.48  0.5323
H 3.83 13.22 12.84  0.2798
H 1.32 12.11 12.25  -1.2250
H 1.62 13.16 13.54  -1.1169
C -3.03 11.81 10.93  -1.8332
C -1.78 11.44 11.70  1.4416
C -1.54 9.98 11.61  -0.6985
O -0.64 9.76 10.57  -0.3796
C -0.16 10.86 10.13  0.4248
O 0.64 10.90 9.26  -0.5754
O -0.73 11.91 10.84  -0.0431
H -3.93 11.51 11.46  0.5787
H -3.18 11.20 10.07  0.6792
-- stop --
Assignment:
Next, count the lines further above that contain the word "OMol25" and give the number alone.
Completed:
2